Brief =
The reader should work out how many lines underneath have the word "atom" in them; a number is enough.

Data =
A relaxed structure of HgSeO3, computed with PBE.

Computed properties:
space-group type	No. 62
energy relative to the elements	-5.23	eV per formula unit
calculated total energy	-0.3206	Ry/atom

abc: 6.323 8.692 6.158
angles: 90.00 90.00 90.00
Sites, in units of the cell vectors:
Hg: 0.000 0.000 0.000
Hg: 0.000 0.500 0.000
Hg: 0.500 0.000 0.500
Hg: 0.500 0.500 0.500
Se: 0.078 0.250 0.496
Se: 0.422 0.750 0.996
Se: 0.578 0.250 0.004
Se: 0.922 0.750 0.504
O: 0.156 0.250 0.235
O: 0.213 0.092 0.615
O: 0.213 0.408 0.615
O: 0.287 0.592 0.115
O: 0.287 0.908 0.115
O: 0.344 0.750 0.735
O: 0.656 0.250 0.265
O: 0.713 0.092 0.885
O: 0.713 0.408 0.885
O: 0.787 0.592 0.385
O: 0.787 0.908 0.385
O: 0.844 0.750 0.765


Compound: CeSi2Pd2
Source: the Materials Project
Functional: PBE
Structure: relaxed

- ΔE_f (meV per atom) = -910.1

Lattice parameters (Å, degrees): 4.2002 4.2002 10.0611 90.00 90.00 90.00
Sites, in units of the cell vectors:
Ce: 0.0000 0.0000 0.0000
Ce: 0.5000 0.5000 0.5000
Si: 0.0000 0.0000 0.3832
Si: 0.0000 0.0000 0.6168
Si: 0.5000 0.5000 0.1168
Si: 0.5000 0.5000 0.8832
Pd: 0.0000 0.5000 0.2500
Pd: 0.0000 0.5000 0.7500
Pd: 0.5000 0.0000 0.2500
Pd: 0.5000 0.0000 0.7500


Compound: Ce3Si6Pd20
Source: the Materials Project
Functional: PBE
Structure: relaxed

- distance to the lowest polymorph of the same formula (eV/f.u.) = 0.000
- ΔE_f (meV per atom) = -784.1

Lattice parameters (Å, degrees): 8.7408 8.7408 8.7408 60.00 60.00 60.00
Sites, in units of the cell vectors:
Ce: 0.0000 0.0000 0.0000
Ce: 0.2500 0.2500 0.2500
Ce: 0.7500 0.7500 0.7500
Si: 0.2677 0.2677 0.7323
Si: 0.2677 0.7323 0.2677
Si: 0.2677 0.7323 0.7323
Si: 0.7323 0.2677 0.2677
Si: 0.7323 0.2677 0.7323
Si: 0.7323 0.7323 0.2677
Pd: 0.0000 0.0000 0.3460
Pd: 0.0000 0.0000 0.6540
Pd: 0.0000 0.3460 0.0000
Pd: 0.0000 0.3460 0.6540
Pd: 0.0000 0.6540 0.0000
Pd: 0.0000 0.6540 0.3460
Pd: 0.1522 0.6159 0.6159
Pd: 0.3460 0.0000 0.0000
Pd: 0.3460 0.0000 0.6540
Pd: 0.3460 0.6540 0.0000
Pd: 0.3841 0.3841 0.3841
Pd: 0.3841 0.3841 0.8478
Pd: 0.3841 0.8478 0.3841
Pd: 0.6159 0.1522 0.6159
Pd: 0.6159 0.6159 0.1522
Pd: 0.6159 0.6159 0.6159
Pd: 0.6540 0.0000 0.0000
Pd: 0.6540 0.0000 0.3460
Pd: 0.6540 0.3460 0.0000
Pd: 0.8478 0.3841 0.3841


The records above yield total DFT energy (no corrections) values of -6.34, -6.09 eV per atom, respectively.


Sr3UTe4O14: relaxed, GGA-PBE.

Its total magnetic moment is 0.00 μB/f.u. As for the formation energy: -2526 meV/atom. Its calculated volume is 18.11 A^3/atom.

The structure in POSCAR format:
```
Sr3UTe4O14
1.0
10.5104 -2.8686 0.0000
10.5104 2.8686 0.0000
-0.8714 0.0000 13.2149
Sr U Te O
6 2 8 28
Direct
0.2061 0.6725 0.4419
0.2215 0.7785 0.7500
0.3275 0.7939 0.0581
0.6725 0.2061 0.9419
0.7785 0.2215 0.2500
0.7939 0.3275 0.5581
0.0000 0.5000 0.5000
0.5000 0.0000 0.0000
0.0381 0.6132 0.8365
0.1244 0.6744 0.1273
0.3256 0.8756 0.3727
0.3868 0.9619 0.6635
0.6132 0.0381 0.3365
0.6744 0.1244 0.6273
0.8756 0.3256 0.8727
0.9619 0.3868 0.1635
0.0344 0.0459 0.9137
0.0418 0.7769 0.2650
0.0459 0.0344 0.4137
0.1471 0.1957 0.5591
0.1540 0.4618 0.6037
0.1957 0.1471 0.0591
0.2231 0.9582 0.2350
0.2339 0.3287 0.9043
0.2400 0.5746 0.8652
0.3287 0.2339 0.4043
0.4254 0.7600 0.6348
0.4360 0.4772 0.1158
0.4618 0.1540 0.1037
0.4772 0.4360 0.6158
0.5228 0.5640 0.3842
0.5382 0.8460 0.8963
0.5640 0.5228 0.8842
0.5746 0.2400 0.3651
0.6713 0.7661 0.5957
0.7600 0.4254 0.1348
0.7661 0.6713 0.0957
0.7769 0.0418 0.7650
0.8043 0.8529 0.9409
0.8460 0.5382 0.3963
0.8529 0.8043 0.4409
0.9541 0.9656 0.5863
0.9582 0.2231 0.7350
0.9656 0.9541 0.0863
```

HfIr: relaxed, GGA-PBE.

As for the formation energy: -906 meV/atom. Its calculated volume is 17.72 A^3/atom.

The structure in POSCAR format:
```
HfIr
1.0
3.2850 0.0000 0.0000
0.0000 3.2850 0.0000
0.0000 0.0000 3.2850
Hf Ir
1 1
Direct
0.0000 0.0000 0.0000
0.5000 0.5000 0.5000
```

CaI: relaxed, GGA-PBE.

Its total magnetic moment is 0.87 μB/f.u. As for the formation energy: -1190 meV/atom. Its calculated volume is 34.08 A^3/atom.

Completed =
7